DFT (ωB97M-V/def2-TZVPD) results for a molecular structure, C20H37ClN3OPPt.

The HOMO energy (alpha / beta) is -0.4835 / -0.4973 hartree. The calculation puts the LUMO energy (alpha / beta) at -4.6 / -10.7 eV. The value obtained for the largest force on an atom is 0.0639 hartree/bohr. The HOMO-LUMO gap (alpha / beta) is 8.5 / 2.9 eV. As for the expectation value of S²: 6.05.

The geometry in ORCA input format:
```
! RIJCOSX wB97M-V def2-TZVPD def2/J DEFGRID3
* xyz 2 5
C 0.094 0.167 -6.521
C 1.484 0.750 -6.836
C -0.122 -1.142 -7.302
C -1.003 1.189 -6.875
Cl -0.016 -0.199 -4.723
H -0.074 -0.955 -8.387
H -1.098 -1.585 -7.067
H 0.641 -1.887 -7.043
H 1.573 0.961 -7.914
H 2.283 0.054 -6.554
H 1.658 1.683 -6.285
H -0.986 1.414 -7.953
H -0.862 2.126 -6.321
H -1.998 0.808 -6.615
C 1.817 -1.786 0.105
C 1.088 -2.669 -0.862
C 1.288 -2.118 -2.172
H 0.792 -3.686 -0.619
C 2.058 -0.932 -2.053
C 2.380 -0.696 -0.701
H 3.014 0.089 -0.303
H 2.189 -2.148 1.057
H 1.012 -2.609 -3.102
H 2.444 -0.362 -2.896
C -2.388 0.752 -0.230
C -2.139 -0.476 0.499
C -2.076 -1.567 -0.541
H -2.436 -0.639 1.534
C -2.211 -0.909 -1.828
C -2.410 0.466 -1.613
H -2.650 1.190 -2.391
H -2.629 1.701 0.239
H -2.276 -2.612 -0.307
H -2.245 -1.422 -2.784
Pt -0.156 -1.135 0.148
C -0.748 2.368 4.856
N -0.851 1.789 3.513
C -0.958 2.822 2.469
P 0.107 0.465 3.146
O 0.398 0.431 1.666
N 1.566 0.509 3.943
C 2.727 1.126 3.301
C 1.683 0.367 5.396
N -0.683 -0.834 3.828
C -0.118 -2.184 3.681
C -1.857 -0.702 4.695
H -1.406 3.240 4.907
H 0.269 2.714 5.076
H -1.060 1.672 5.644
H -1.206 2.376 1.504
H -1.753 3.519 2.755
H -0.020 3.388 2.370
H 2.726 2.219 3.435
H 3.636 0.715 3.760
H 2.730 0.890 2.234
H 1.474 1.302 5.933
H 1.020 -0.413 5.785
H 2.715 0.079 5.624
H 0.938 -2.222 4.026
H -0.174 -2.534 2.628
H -0.726 -2.858 4.311
H -1.562 -0.466 5.735
H -2.535 0.076 4.305
H -2.374 -1.669 4.690
*
```


No. 1
Formula: C17H45BeBr3ClCsF3NO8P2
Source: the Open Molecules 2025 dataset
Level of theory: the ωB97M-V functional and the def2-TZVPD basis

Results
Frontier orbital gap ... 1.1377 eV
Total charge ... +2
Calculated total energy ... -286528.25752 eV

Geometry (Å):
1 C -0.165 -0.168 0.865
2 C -1.108 1.131 0.725
3 P -2.564 0.882 -0.514
4 C -3.500 2.551 -0.431
5 P -3.830 -0.793 0.083
6 C -4.254 -1.154 -1.774
7 F -4.865 -2.183 0.473
8 C -4.955 0.258 1.201
9 C -6.271 0.745 0.355
10 O -6.610 1.922 0.189
11 F -7.116 -0.292 -0.285
12 H 0.624 0.081 1.678
13 H 0.369 -0.326 -0.133
14 H -0.704 -1.115 1.204
15 H -0.450 1.952 0.241
16 H -1.483 1.567 1.715
17 H -4.415 2.591 -1.117
18 H -2.729 3.336 -0.800
19 H -3.739 2.870 0.658
20 H -2.744 -1.544 0.633
21 H -3.429 -0.712 -2.434
22 H -4.267 -2.298 -1.946
23 H -5.304 -0.687 -2.039
24 H -5.371 -0.460 2.015
25 H -4.434 1.099 1.767
26 O 1.442 3.487 0.566
27 H 2.019 3.175 1.307
28 H 1.879 3.326 -0.337
29 H 1.191 4.431 0.678
30 C 5.153 2.436 -1.212
31 C 4.374 1.404 -0.423
32 O 3.012 1.383 -0.860
33 H 4.708 3.424 -1.081
34 H 6.196 2.472 -0.890
35 H 5.122 2.209 -2.284
36 H 4.385 1.647 0.646
37 H 4.800 0.406 -0.553
38 H 3.010 1.159 -1.802
39 F 3.800 1.008 2.161
40 Cl -5.841 -1.629 -3.268
41 C -5.461 -4.977 0.515
42 C -5.913 -5.483 1.874
43 O -5.925 -6.910 1.917
44 C -4.716 -7.497 2.007
45 O -3.651 -6.926 2.058
46 O -4.895 -8.825 2.004
47 C -3.677 -9.573 1.986
48 H -6.076 -5.410 -0.280
49 H -5.529 -3.890 0.466
50 H -4.428 -5.263 0.306
51 H -6.941 -5.154 2.057
52 H -5.298 -5.078 2.683
53 H -3.021 -9.281 2.809
54 H -3.173 -9.440 1.027
55 H -3.929 -10.627 2.103
56 Cs -7.600 -2.355 0.148
57 Be 2.938 3.910 -1.859
58 C 7.652 8.351 0.023
59 C 8.248 7.397 -1.009
60 C 7.272 6.295 -1.467
61 O 7.096 5.236 -0.527
62 C 6.171 5.520 0.512
63 N 9.490 6.830 -0.470
64 H 7.597 7.910 1.021
65 H 8.267 9.251 0.108
66 H 6.645 8.665 -0.269
67 H 8.501 7.996 -1.892
68 H 7.692 5.824 -2.362
69 H 6.301 6.713 -1.766
70 H 5.343 6.150 0.169
71 H 6.686 5.992 1.350
72 H 5.760 4.573 0.870
73 H 9.938 6.273 -1.197
74 H 9.228 6.139 0.234
75 O 1.470 -2.450 0.535
76 H 1.471 -2.674 1.475
77 H 2.354 -2.093 0.380

Now print the notes further up from the line with "1.204" to the end verbatim.

14 H -0.704 -1.115 1.204
15 H -0.450 1.952 0.241
16 H -1.483 1.567 1.715
17 H -4.415 2.591 -1.117
18 H -2.729 3.336 -0.800
19 H -3.739 2.870 0.658
20 H -2.744 -1.544 0.633
21 H -3.429 -0.712 -2.434
22 H -4.267 -2.298 -1.946
23 H -5.304 -0.687 -2.039
24 H -5.371 -0.460 2.015
25 H -4.434 1.099 1.767
26 O 1.442 3.487 0.566
27 H 2.019 3.175 1.307
28 H 1.879 3.326 -0.337
29 H 1.191 4.431 0.678
30 C 5.153 2.436 -1.212
31 C 4.374 1.404 -0.423
32 O 3.012 1.383 -0.860
33 H 4.708 3.424 -1.081
34 H 6.196 2.472 -0.890
35 H 5.122 2.209 -2.284
36 H 4.385 1.647 0.646
37 H 4.800 0.406 -0.553
38 H 3.010 1.159 -1.802
39 F 3.800 1.008 2.161
40 Cl -5.841 -1.629 -3.268
41 C -5.461 -4.977 0.515
42 C -5.913 -5.483 1.874
43 O -5.925 -6.910 1.917
44 C -4.716 -7.497 2.007
45 O -3.651 -6.926 2.058
46 O -4.895 -8.825 2.004
47 C -3.677 -9.573 1.986
48 H -6.076 -5.410 -0.280
49 H -5.529 -3.890 0.466
50 H -4.428 -5.263 0.306
51 H -6.941 -5.154 2.057
52 H -5.298 -5.078 2.683
53 H -3.021 -9.281 2.809
54 H -3.173 -9.440 1.027
55 H -3.929 -10.627 2.103
56 Cs -7.600 -2.355 0.148
57 Be 2.938 3.910 -1.859
58 C 7.652 8.351 0.023
59 C 8.248 7.397 -1.009
60 C 7.272 6.295 -1.467
61 O 7.096 5.236 -0.527
62 C 6.171 5.520 0.512
63 N 9.490 6.830 -0.470
64 H 7.597 7.910 1.021
65 H 8.267 9.251 0.108
66 H 6.645 8.665 -0.269
67 H 8.501 7.996 -1.892
68 H 7.692 5.824 -2.362
69 H 6.301 6.713 -1.766
70 H 5.343 6.150 0.169
71 H 6.686 5.992 1.350
72 H 5.760 4.573 0.870
73 H 9.938 6.273 -1.197
74 H 9.228 6.139 0.234
75 O 1.470 -2.450 0.535
76 H 1.471 -2.674 1.475
77 H 2.354 -2.093 0.380